I wish I could talk about how black lives matter or maybe spank you with a few Corona virus conspiracies, but instead let me tell tou about Shawn. I really don’t know Shawn – I only know that he dumped my homegirl, Diana (we call her the big D, a story that I won’t tell you today) on phone.
Here the article breaks off for crystal structures =
********
No. 1
An optimized crystal structure of Na3ZrTi2Se6. Source: Alexandria, functional PBE.

a = 6.5914 Å, b = 6.5914 Å, c = 7.4078 Å
α = 98.51°, β = 98.51°, γ = 120.23°
Closest atoms and distances in Å follow each position.
Element x y z (fractional)
Na (0.0000, 0.0000, 0.0000)  6 Se 2.95-2.96
Na (0.3403, 0.6597, 0.0000)  6 Se 2.96-2.99
Na (0.6597, 0.3403, 0.0000)  6 Se 2.96-2.99
Zr (0.5000, 0.5000, 0.5000)  6 Se 2.71-2.74
Ti (0.1789, 0.8211, 0.5000)  6 Se 2.59-2.72
Ti (0.8211, 0.1789, 0.5000)  6 Se 2.59-2.72
Se (0.0836, 0.4234, 0.2785)  2 Ti 2.59-2.66, 1 Zr 2.74
Se (0.2251, 0.2251, 0.7094)  1 Zr 2.71, 2 Ti 2.72, 3 Na 2.95-2.99
Se (0.4234, 0.0836, 0.2785)  2 Ti 2.59-2.66, 1 Zr 2.74
Se (0.5766, 0.9164, 0.7215)  2 Ti 2.59-2.66, 1 Zr 2.74
Se (0.7749, 0.7749, 0.2906)  1 Zr 2.71, 2 Ti 2.72, 3 Na 2.95-2.99
Se (0.9164, 0.5766, 0.7215)  2 Ti 2.59-2.66, 1 Zr 2.74

Calculated values
Its density is 4.56 Mg/m³. Its crystal system is monoclinic. The uncorrected formation energy is -1.22 eV/atom.

=====

No. 2
An optimized crystal structure of Na3Zr3TiSe8. Source: Alexandria, functional PBE.

a = 8.5066 Å, b = 8.5066 Å, c = 8.5066 Å
α = 52.85°, β = 52.85°, γ = 52.85°
Closest atoms and distances in Å follow each position.
Element x y z (fractional)
Na (0.0000, 0.5000, 0.5000)  6 Se 2.96-2.99
Na (0.5000, 0.0000, 0.5000)  6 Se 2.96-2.99
Na (0.5000, 0.5000, 0.0000)  6 Se 2.96-2.99
Zr (0.0000, 0.0000, 0.5000)  6 Se 2.72-2.74
Zr (0.0000, 0.5000, 0.0000)  6 Se 2.72-2.74
Zr (0.5000, 0.0000, 0.0000)  6 Se 2.72-2.74
Ti (0.5000, 0.5000, 0.5000)  6 Se 2.66
Se (0.2423, 0.2423, 0.2423)  3 Zr 2.74, 3 Na 2.96
Se (0.2468, 0.7353, 0.7353)  1 Ti 2.66, 2 Zr 2.72
Se (0.2647, 0.2647, 0.7532)  1 Ti 2.66, 2 Zr 2.72
Se (0.2647, 0.7532, 0.2647)  1 Ti 2.66, 2 Zr 2.72
Se (0.7353, 0.2468, 0.7353)  1 Ti 2.66, 2 Zr 2.72
Se (0.7353, 0.7353, 0.2468)  1 Ti 2.66, 2 Zr 2.72
Se (0.7532, 0.2647, 0.2647)  1 Ti 2.66, 2 Zr 2.72
Se (0.7577, 0.7577, 0.7577)  3 Zr 2.74, 3 Na 2.96

Calculated values
Its density is 4.69 Mg/m³. Its crystal system is trigonal. The uncorrected formation energy is -1.30 eV/atom.
********
Shawn and Diana were everyone’s mirror of true love. A facebook post could pop of them at serene locations having a good time, at times you’d bump on their pics on instagram feed in their PDA spree and on bad days, you’d always be fed with relationship motivational quotes on WhatsApp status – we all knew the targeted audience (in singular)of those quotes. The relationship was a whole telenovela and I was a loyal follower.
My shoulder was always ready to give her the comfort to lean on, as she vent – after all, that’s what BAEsties are for. This time round, Shawn was claiming that she changed, that she is no longer as fun as before, that she is acting cold and boring – last time, the issue was that she drinks too much and she needs to CHANGE.
According to a 2017 study on relationships by the PEW Research Center, it asserts that only 64% of couples are in a perfect, happy relationship. These couples fit together perfectly than a jigsaw puzzle. They have common interests, have healthy communication and a stable trust base. The study further states that healthy relationships are structured on your communication skills with your partner – how often do you complement your partner, do you open up, do you tell your partner when he wrongs and so on.
Millenials have turned relationships into a slavery spot. We want what quenches our desires, and ignore our partner’s. We give our needs a priority and forget that our partners also have void desires.

There is a question that we have all encountered. The question always strikes like the lightening of the southern end of lake maracaibo ( Geographers wassap!). The questions goes like, what do you look for in a partner? In my opinion, this is a question that promotes self-centred demeanor. Infact, if you woke me up from my sleep and asked for my take on this, I’ll still say it’s a question that powers narcissism.
I correct, everyone has a wish, and the wishes evolve as we grow old. When you were young, you once wished to have a foreign lover – international kind of love but with time we grow to accept reality and realize that all you can wish for is an African built guy with abs, well chopped jaws with a voice that Samuel L Jackson can’t beat – whereas the male version of you wishes for a lady wish curves like Monalisa, lightskin, soothing vocals accompanied with soft, red lips. Look at us now, in the right relationships with the wrong people.
What do you look for in a partner? Yes, you want all those qualities in your dream girl, but do you meet her qualification standards? Eeh? And if you don’t meet the qualifications, are you ready to change for her, or will you change her. Or…you’ll preserver the flaws? For a life time, maybe?
Before you think of an answer to that, the self proclaimed 21st Century Eisnteins claim, “if you are not dating for marriage, then you are dating for a heartbreak.” Over to you, will you persevere the flaws?
I watch Steve Harvey show quite a lot. Steve is a funny, wise guy – a very rare combo. I was watching one of his episodes and he went on uttering something worth quoting, “All men can change, but that doesn’t mean that all men will change. There’s only one woman whom we will change for. If a man is not willing to change, it means that you aren’t the one.”
Change comes from within. It doesn’t have a button that you press and oops! You change. It’s a process that involves the inner you. You really have to accept wholly that the new version will be compatible to your spirit – and not a forced intuition.
Love has forced many to change. Some change careers, some change habits, friends, character. This relationship-inspired changes come in two decisive forms. One, you might change because you want to be the best version for your partner. Two, you might change because your partner tells you to and three (oopsy daisy! I didn’t tell you there is a third one) you might change because of both the reasons. In as much as change is good (in favour of either you, or your partner) you should always have your mental health as a priority. Have it in the co-driver’s seat – buckle it up. You still have a life to live, you still have a life that depends on that change that you are about to morph.
Changing for love should come from within you, I repeat (I’d have two dollars now if I got paid a dollar for everytime I repeated this.) The committee in you must all sketch the signatures and convince your mind, body and soul that the decision is as worth as the person you are changing for. I will stick this famous line here as I close the door behind me, “if they want you to change, they don’t love you for who you are.”